Dear Friends,


Folks, indeed I truly hoped I could report that Delaware’s new Chancellor, Kathaleen McCormick, was a breath of fresh air with objective reasoning and a willingness to present much needed equity in Delaware’s once revered Court of Chancery. Her recent decision in the TransPerfect case was outrageous. Despite an established and serious conflict of interest with one of TransPerfect’s competitors – for which she should have recused herself – I sincerely gave McCormick the benefit of the doubt. The optimism was refreshing. A new Chancery Court with Delaware’s first female at the helm was paramount and many of us were hopeful.


Unfortunately, that is not the case and McCormick has arrogantly and simply followed the insidious and disgraceful lead of the former Chancellor, Andre Bouchard who ran for the hills years before his term was up after the Coastal Network exposed his entire operation. Folks, McCormick’s recent decision was indeed suspect and she has shown her apparent real character. Delaware’s Chancery Court still holds the justified, negative label, “The Court of Inequity,” and Kathaleen McCormick is its Queen.


The corruption, also known as the “Delaware Way”, continues with a few elite lawyers, from both sides of the aisle, in my opinion, working the Chancery Court system, while they charge millions of dollars in legal fees. The TransPerfect case was an example of a single judge, Andre Bouchard, who in my opinion, seemingly greased the pocket books of his former business associates and friends, allowing ridiculous legal fees and instilling unprecedented and absurd sanctions upon TransPerfect, instead of providing a reasonable and fair decision. Millions went through Bouchard’s court at the expense of the world’s number one translation company and their dedicated employees.

The irony of the situation is that Delaware incorporates the majority of Fortune 500 companies, yet it is grotesquely, business unfriendly.

~~~
# PaAg3I2F6, relaxed, DFT PBE
# N(E_F) = 0.0 states/eV/cell
# Total moment = 0.00 μB per cell
# Formation energy from raw total energies = -2159 meV per atom
# Theoretical density = 5.17 g cm⁻³
data_PaAg3I2F6
_chemical_formula_sum 'Pa2 Ag6 I4 F12'
_cell_length_a 14.953
_cell_length_b 7.727
_cell_length_c 5.178
_cell_angle_alpha 90.00
_cell_angle_beta 97.57
_cell_angle_gamma 90.00
_space_group_name_H-M_alt 'C 1 2/m 1'
_space_group_IT_number 12
loop_
_space_group_symop_operation_xyz
'x,y,z'
'-x,-y,-z'
'-x,y,-z'
'x,-y,z'
'x+1/2,y+1/2,z'
'-x+1/2,-y+1/2,-z'
'-x+1/2,y+1/2,-z'
'x+1/2,-y+1/2,z'
loop_
_atom_site_label
_atom_site_type_symbol
_atom_site_fract_x
_atom_site_fract_y
_atom_site_fract_z
Pa1 Pa 0.000 0.000 0.000
Ag1 Ag 0.000 0.500 0.500
Ag2 Ag 0.250 0.250 0.000
I1 I 0.184 0.500 0.660
F1 F 0.059 0.198 0.248
F2 F 0.118 0.000 0.811

# Ag2Pb2I2F5, relaxed, DFT PBE
# N(E_F) = 7.8 states/eV/cell
# Total moment = 0.00 μB per cell
# Formation energy from raw total energies = -1274 meV per atom
# Theoretical density = 5.86 g cm⁻³
data_Ag2Pb2I2F5
_chemical_formula_sum 'Ag4 Pb4 I4 F10'
_cell_length_a 4.685
_cell_length_b 4.685
_cell_length_c 25.297
_cell_angle_alpha 90.00
_cell_angle_beta 90.00
_cell_angle_gamma 90.00
_space_group_name_H-M_alt 'I 4/m m m'
_space_group_IT_number 139
_space_group_name_Hall '-I 4 2'
loop_
_atom_site_label
_atom_site_type_symbol
_atom_site_fract_x
_atom_site_fract_y
_atom_site_fract_z
Ag1 Ag 0.000 0.000 0.084
Pb1 Pb 0.000 0.000 0.355
I1 I 0.000 0.000 0.201
F1 F 0.000 0.000 0.000
F2 F 0.000 0.500 0.103

# AgPdIF2, relaxed, DFT PBE
# N(E_F) = 1.6 states/eV/cell
# Total moment = 0.00 μB per cell
# Formation energy from raw total energies = -741 meV per atom
# Theoretical density = 6.25 g cm⁻³
data_AgPdIF2
_chemical_formula_sum 'Ag1 Pd1 I1 F2'
_cell_length_a 4.222
_cell_length_b 4.222
_cell_length_c 5.653
_cell_angle_alpha 90.00
_cell_angle_beta 90.00
_cell_angle_gamma 90.00
_space_group_name_H-M_alt 'P 4/m m m'
_space_group_IT_number 123
_space_group_name_Hall '-P 4 2'
loop_
_atom_site_label
_atom_site_type_symbol
_atom_site_fract_x
_atom_site_fract_y
_atom_site_fract_z
Ag1 Ag 0.000 0.000 0.000
Pd1 Pd 0.500 0.500 0.500
I1 I 0.500 0.500 0.000
F1 F 0.000 0.500 0.500

# PuAg3I2F6, relaxed, DFT PBE
# N(E_F) = 26.5 states/eV/cell
# Total moment = 6.01 μB per cell
# Formation energy from raw total energies = -1846 meV per atom
# Theoretical density = 5.48 g cm⁻³
data_PuAg3I2F6
_chemical_formula_sum 'Pu2 Ag6 I4 F12'
_cell_length_a 14.918
_cell_length_b 7.420
_cell_length_c 5.150
_cell_angle_alpha 90.00
_cell_angle_beta 95.81
_cell_angle_gamma 90.00
_space_group_name_H-M_alt 'C 1 2/m 1'
_space_group_IT_number 12
loop_
_space_group_symop_operation_xyz
'x,y,z'
'-x,-y,-z'
'-x,y,-z'
'x,-y,z'
'x+1/2,y+1/2,z'
'-x+1/2,-y+1/2,-z'
'-x+1/2,y+1/2,-z'
'x+1/2,-y+1/2,z'
loop_
_atom_site_label
_atom_site_type_symbol
_atom_site_fract_x
_atom_site_fract_y
_atom_site_fract_z
Pu1 Pu 0.000 0.000 0.000
Ag1 Ag 0.000 0.500 0.500
Ag2 Ag 0.250 0.250 0.000
~~~


Here is a brief recap of what happened: Former business partner of Chancellor Bouchard, Robert Pincus, when appointed as the custodian of TransPerfect, charged millions, ordered by Bouchard during the notorious sale and fight over possession of TransPerfect.

The billing and taking was done without itemization or legitimate explanation. Bouchard upheld and ordered payments to Skadden to the detriment of TransPerfect. After Bouchard disgracefully stepped down, McCormick took over as Chancellor and has – after hearing legitimate evidence of the despicable fleecing of TransPerfect – ruled that the pillaging of TransPerfect continue. It is my belief, after years of investigation, and studying incriminating evidence, McCormick has shown her true colors.

TransPerfect and its lawyers are appealing McCormick’s decision to the Delaware Supreme Court and are hopeful with Chief Justice Leo Strine gone, there is a possibility of actual justice and equity. Will Delaware continue to operate under a cloud or will the Delaware Supreme Court allow some much needed light to shine in?! Let us hope.


As always, your feedback is welcome and appreciated.


Sincerely yours,

JUDSON Bennett-Coastal Network